Needed document for registration Ministry Of Agriculutre
1. Certificate of composition .
2. Certificate of analysis .
3. Methods of analysis .
to be legalized from Egyptian Embassy " you can attach
altogrther with one pin and make the certificate of composition
the last one to have all stamps and seals "
Authorication letter ; legalized
Needed document for registration Ministry Of Health
1. a covering letter indicating the documents contained in the file.
2. An application from registration duly filled in and signed.
3. certificate of origin and free sale issued from the ministry of
health in the country of origin, legalized by the Egyptian
Embassy of consulate in that country, including clearly :
a- Name and address of the manufacturer
b- Name and strength of the product, name & quality of active
c- That the product is freely sold in its country of origin under
the same name and composition
4. Five copies of the complete formula, quantitative, quantitative of
active and inactive ingredients , coloting matters ,etc.
5. Five copies of the method of analysis and assay of the active
ingredients in the finished product in detail, in English
6. Seven to ten original samples for analysis.
7. Certificate of analysis in 2 copies, from the manufacturing firm,
in which is also clarified the same batch number of the samples
submitted for analysis. It should also state the dates of
preparation & expiration of the product, if any.
8. In case of antibiotics, another certificate of analysis for each raw
martial of antibiotic used , must be submitted. This should state
the dates of preparation and expiration of the raw material.9. a- Five original outer labels.
b- Five original inner labels.
c- Five original inner pamphlets
10. A full scientific file for the new product including formula,
pharmacological, toxicological, clinical studies , etc.... an
stability data.
11. Agency Agreement of authorization or Registration
This should be granted to an Egyptian citizen or a scientific office
in Egypt, and must be legalized by the Egyptian Embassy or
consulate in the country of Origin.
12. A governmental postal order for the fee of five Egyptian Pounds
to the order of @ The General Administration of Pharmacy,
ministry of Health, A.R.R
13. Prices:
the following prices should be indicated for the product in its
Someone pasted data records at this point >
=====
# 1
A molecular structure, C27H19Cl2F6N3O5PS2W in a non-equilibrium geometry. Source: OMol25; level of theory: ωB97M-V with the def2-TZVPD basis set.

Each line ends with the Mulliken charge.
Positions of all 66 atoms, in Å:
W1 -0.1000 0.5240 -0.0173  1.548
F1 0.3191 -1.2235 4.4351  -0.174
C1 1.5297 -1.2779 3.9124  0.627
F2 2.4573 -1.0824 4.8051  -0.142
F3 1.7130 -2.3966 3.2584  -0.150
S1 1.6529 0.1472 2.6942  1.099
O1 0.3352 0.0182 1.8832  -0.514
O2 1.7582 1.3784 3.3781  -0.566
N1 2.8638 -0.2455 1.7627  -0.422
S2 2.6581 -0.1294 0.2347  0.928
O3 1.8927 1.1541 -0.0804  -0.754
O4 1.8792 -1.1784 -0.4061  -0.581
C2 4.4022 0.0475 -0.4874  0.588
F4 5.0596 -1.0259 -0.1502  -0.125
F5 4.9212 1.1287 0.0170  -0.134
F6 4.2282 0.1388 -1.7846  -0.149
O5 0.1762 1.4589 -2.1997  -0.479
N2 -0.3143 0.1533 -2.0374  0.284
C3 -0.7003 -0.5753 -3.0150  -0.475
C4 -1.2327 -1.8944 -2.8499  0.257
C5 -1.4477 -2.6040 -4.0337  -0.907
C6 -1.9011 -3.9151 -4.0023  -0.944
C7 -2.1345 -4.5163 -2.7801  -0.702
C8 -1.9253 -3.8130 -1.5867  -0.442
C9 -1.4884 -2.4993 -1.5994  0.739
P1 -1.3836 -1.7174 0.0418  0.617
C10 -0.6431 -2.9671 1.0889  1.318
C11 0.4293 -3.7303 0.6066  -0.614
C12 0.8832 -4.8089 1.3436  -0.882
C13 0.2779 -5.1311 2.5551  -0.696
C14 -0.7792 -4.3725 3.0363  -0.707
C15 -1.2481 -3.2878 2.3079  -0.677
C16 -3.0374 -1.3691 0.6392  1.057
C17 -4.1603 -1.8651 -0.0168  -0.990
C18 -5.4191 -1.6607 0.5358  -0.765
C19 -5.5519 -0.9773 1.7353  -0.803
C20 -4.4282 -0.4814 2.3897  -0.754
C21 -3.1725 -0.6696 1.8433  -0.325
H1 -0.3975 1.9913 -2.7855  0.404
H2 -0.5951 -0.1694 -4.0205  0.544
H3 -1.2452 -2.1277 -4.9854  0.466
H4 -2.0624 -4.4574 -4.9238  0.468
H5 -2.4847 -5.5394 -2.7355  0.499
H6 -2.1162 -4.3140 -0.6467  0.644
H7 0.8829 -3.5133 -0.3522  0.461
H8 1.6977 -5.4125 0.9665  0.524
H9 0.6271 -5.9862 3.1188  0.470
H10 -1.2584 -4.6361 3.9696  0.508
H11 -2.0989 -2.7309 2.6734  0.503
H12 -4.0741 -2.3972 -0.9542  0.374
H13 -6.2942 -2.0401 0.0261  0.477
H14 -6.5333 -0.8296 2.1659  0.464
H15 -4.5343 0.0457 3.3286  0.513
H16 -2.3019 -0.2881 2.3680  0.396
Cl1 -4.4228 1.5031 -0.6690  -0.079
C22 -3.5860 2.7586 0.1449  0.683
C23 -4.2149 3.9386 0.4812  -0.570
C24 -3.4869 4.9546 1.0974  -0.492
C25 -2.1232 4.8294 1.3714  -0.757
C26 -1.5004 3.6545 1.0389  0.959
Cl2 0.1889 3.4197 1.2944  -0.053
C27 -2.2246 2.5952 0.4477  -0.489
N3 -1.5346 1.4632 0.1631  0.430
H17 -5.2635 4.0695 0.2532  0.507
H18 -3.9893 5.8767 1.3587  0.437
H19 -1.5691 5.6364 1.8295  0.524

Charge = +3
Frontier orbital gap = 6.18 eV

=====

# 2
A molecular structure, C27H19Cl5N6Ru in a non-equilibrium geometry. Source: OMol25; level of theory: ωB97M-V with the def2-TZVPD basis set.

Each line ends with the Löwdin spin population.
Positions of all 58 atoms, in Å:
Ru1 0.7773 -0.3341 -1.6514  0.641
C1 1.1906 -2.4719 4.6442  0.000
C2 0.6604 -1.8878 3.3647  0.000
C3 0.2946 -0.5422 3.2864  0.001
C4 -0.1271 0.0191 2.0993  0.007
C5 -0.2256 -0.7463 0.9370  0.018
N1 -0.5362 -0.1296 -0.3212  0.160
C6 -1.6366 0.7481 -0.3316  0.000
=====
different package:
i. Ex. factory price
ii. Public price in the country of Origin
iii. F.O.B price
iv. Expected public price in Egypt
13. A subsidiary file containing a copy of each document submitted
in the original file.
N.B.: For pharmacopeia preparation, all the above documents must
be submitted except those under Nos.2,4 and 10.